The Time I Had To Perform (Amateur)Veterinary Medicine

I love my cat but he is an asshole. That is not a debatable fact. 

I found him when he was a tiny kitten under the trailer at our deer lease. My dad had been keeping him alive by feeding him a diet of leftover jalapeno sausage and whatever extra deer parts weren’t going to the processing plant. I have never met a cat I didn’t want to befriend, so when my dad said, “That cat is not going to let you pet it,” I took it as a personal challenge. 

When my dad came out of the trailer, I had the tiny kitten in my lap, petting it. 

“Ugh. Do not tell your mother about this. We do not need another cat,” he said. 

We went home and I could not stop thinking about that little kitten, alone in a country landscape full of coyotes and owls and all sorts of other creatures that would view him as a light snack.  

A couple days later, I set off on my own down the wildly confusing trail of country roads that would lead me back to that little orange kitten I had befriended days earlier. After more than a few wrong turns, I found our trailer and sought the tiny kitty. I got out of the car and did a few, “ps ps pses” and he came a runnin’. I scooped him up and threw him into my Chevy Malibu. At which point he absolutely LOST. HIS. SHIT. 

Having been confined for the first time in his young life, he launched himself violently from the front seat against the passenger window, the front windshield, the back windshield, all the while screaming tiny cat screams. 

## Attached: materials data
Diffraction record for Na6CoH8S4O20. The PXRD pattern is theoretical, not measured: it uses a DFT-relaxed cell (GGA+U, OQMD) and Cu Kα (λ = 1.5418 Å).

Principal peaks in the range 2θ = 15–90°, sorted by position:
hkl 0 1 -2, d 4.877, I = 60.8
hkl 1 -1 0, d 4.817, I = 50.4
hkl -1 1 1, d 4.231, I = 61.8
hkl 1 1 1, d 3.197, I = 45.4
hkl 1 -2 1, d 3.138, I = 50.7
hkl 0 2 0, d 3.094, I = 55.9
hkl 1 1 -3, d 3.071, I = 61.1
hkl 2 0 0, d 2.793, I = 41.6
hkl 1 0 3, d 2.776, I = 100.0
hkl -2 1 1, d 2.762, I = 41.5

Crystal structure
abc: 5.814 6.698 11.262
angles: 106.90 95.73 102.65
Space group P-1 (No. 2)
Symmetry-distinct sites (fractional):
Na (0.054, 0.232, 0.140) [2 per cell]
Na (0.412, 0.737, 0.034) [2 per cell]
Na (0.423, 0.307, 0.680) [2 per cell]
Co (0.000, 0.500, 0.500) [1 per cell]
H (0.109, 0.123, 0.413) [2 per cell]
H (0.163, 0.774, 0.386) [2 per cell]
H (0.310, 0.309, 0.409) [2 per cell]
H (0.335, 0.832, 0.521) [2 per cell]
S (0.025, 0.269, 0.837) [2 per cell]
S (0.396, 0.800, 0.740) [2 per cell]
O (0.004, 0.139, 0.701) [2 per cell]
O (0.044, 0.875, 0.086) [2 per cell]
O (0.138, 0.587, 0.153) [2 per cell]
O (0.154, 0.645, 0.685) [2 per cell]
O (0.207, 0.267, 0.469) [2 per cell]

I called my ex-boyfriend (who is now, many years later,  my husband and this cat’s legal father) and I was like, “I may have made a huge mistake. This cat does not seem to want to come home with me.”

“Just get him in the car, bring him home and he’ll be fine,” he said. He is the product of a mother who never met a feral cat she couldn’t befriend and once helped one give birth in her garage. 

I embarked on the two-hour journey home with an absolute banshee of a kitten who alternated between hiding under the passenger seat and randomly launching himself about the vehicle. 

Like most decisions in my life, I had not fully thought this through, so I had to stop on the way home to go to PetsMart (or PetCo? They’re pretty much the same thing, right?) in order to buy cat food, cat litter and a box for this tiny demon I had forced to live with me forever.

I got this tiny furball home, scooped him out of my sedan and introduced him to my (in his mind) palatial home. 

“You’re home, bud! Isn’t it great here?” I exclaimed. 

He hissed an angry response. 

I called my ex-boyfriend. 

“This cat hates me. He’s miserable. I don’t know what to do.”

“Do you want me to come over?” 

“Yes, I think so.”

He arrives and the kitten is cowering under the dining room table wanting absolutely nothing to do with me.  He comes over and the freaking cat-whisperer gets this feral asshole to come right to him!

“I don’t think I like you.”

He’s just nonchalantly petting the cat and says, “I think you guys will be fine. He’s a good dude.” 

I’m finally getting to the point of this story and I’m going to need to fast forward about 11 years now. 

I got back together with the ex-boyfriend, married him, had a human baby, yadda yadda yadda… We obviously still have the cat. 

And he hates everyone except my husband and me. He will run and hide when the Amazon guy knocks on the door. If my dad (who was instrumental in keeping his ass alive as a baby) rolls up on the Gator (for those non-country people that is an ATV we use to get around our property) he high-tails it under the bed. When we have company, they can’t even tell we have a pet. He’s not a friendly dude. For god’s sake, we have a five year old daughter and I don’t think they’ve been in the same room together for more than 30 seconds. 

-- These materials data were left in the entry by mistake --
+++
No. 1
# Ca3Cd
Calculated X-ray powder pattern, Cu Ka. Input: the PBE geometry in the Materials Project.
Lines closer than 0.1° are merged.

Unit cell a=5.160 b=5.160 c=5.160 alpha=90.00 beta=90.00 gamma=90.00
Element x y z (fractional)
1 Ca 0.000 0.000 0.500
2 Ca 0.000 0.500 0.000
3 Ca 0.500 0.000 0.000
4 Cd 0.500 0.500 0.500

Principal peaks in the range 5 to 70 degrees two-theta, by angle:
17.19 deg, d 5.160, intensity 24
24.40 deg, d 3.648, intensity 22
30.00 deg, d 2.979, intensity 100
34.77 deg, d 2.580, intensity 50
39.03 deg, d 2.307, intensity 13
42.94 deg, d 2.106, intensity 10
50.00 deg, d 1.824, intensity 33
53.26 deg, d 1.720, intensity 7
59.41 deg, d 1.556, intensity 38
62.34 deg, d 1.489, intensity 11


No. 2
# Ca3Cd2
Calculated X-ray powder pattern, Cu Ka. Input: the PBE geometry in the Materials Project.
Lines closer than 0.1° are merged.

Unit cell a=8.904 b=8.904 c=7.985 alpha=90.00 beta=90.00 gamma=90.00
Element x y z (fractional)
1 Ca 0.000 0.500 0.250
2 Ca 0.000 0.500 0.750
3 Ca 0.146 0.146 0.000
4 Ca 0.197 0.197 0.500
5 Ca 0.303 0.697 0.000
6 Ca 0.354 0.646 0.500
7 Ca 0.500 0.000 0.250
8 Ca 0.500 0.000 0.750
9 Ca 0.646 0.354 0.500
10 Ca 0.697 0.303 0.000
11 Ca 0.803 0.803 0.500
12 Ca 0.854 0.854 0.000
13 Cd 0.125 0.875 0.302
14 Cd 0.125 0.875 0.698
15 Cd 0.375 0.375 0.198
16 Cd 0.375 0.375 0.802
17 Cd 0.625 0.625 0.198
18 Cd 0.625 0.625 0.802
19 Cd 0.875 0.125 0.302
20 Cd 0.875 0.125 0.698

Principal peaks in the range 5 to 70 degrees two-theta, by angle:
14.07 deg, d 6.296, intensity 28
22.31 deg, d 3.985, intensity 36
31.75 deg, d 2.818, intensity 100
35.19 deg, d 2.550, intensity 15
36.38 deg, d 2.470, intensity 17
40.53 deg, d 2.226, intensity 11
43.08 deg, d 2.100, intensity 17
44.58 deg, d 2.032, intensity 11
58.68 deg, d 1.573, intensity 10
62.78 deg, d 1.480, intensity 12


No. 3
# CaCd2
Calculated X-ray powder pattern, Cu Ka. Input: the PBE geometry in the Materials Project.
Lines closer than 0.1° are merged.

Unit cell a=6.106 b=6.106 c=9.630 alpha=90.00 beta=90.00 gamma=120.00
Element x y z (fractional)
1 Ca 0.333 0.667 0.060
2 Ca 0.333 0.667 0.440
3 Ca 0.667 0.333 0.560
4 Ca 0.667 0.333 0.940
5 Cd 0.000 0.000 0.000
6 Cd 0.000 0.000 0.500
7 Cd 0.171 0.342 0.750
8 Cd 0.171 0.829 0.750
9 Cd 0.342 0.171 0.250
10 Cd 0.658 0.829 0.750
11 Cd 0.829 0.171 0.250
12 Cd 0.829 0.658 0.250

Principal peaks in the range 5 to 70 degrees two-theta, by angle:
16.77 deg, d 5.288, intensity 41
19.15 deg, d 4.635, intensity 26
32.63 deg, d 2.744, intensity 35
34.79 deg, d 2.578, intensity 83
35.20 deg, d 2.550, intensity 100
37.35 deg, d 2.408, intensity 29
38.86 deg, d 2.318, intensity 47
44.39 deg, d 2.041, intensity 26
59.37 deg, d 1.557, intensity 26
60.67 deg, d 1.526, intensity 26


No. 4
# CaCd3
Calculated X-ray powder pattern, Cu Ka. Input: the PBE geometry in the Materials Project.
Lines closer than 0.1° are merged.

Unit cell a=6.758 b=6.758 c=5.093 alpha=90.00 beta=90.00 gamma=120.00
Element x y z (fractional)
+++
-- So much for the materials data --

I’m not a totally negligent cat mom, so I have taken him to the vet a few times over the last decade or so. The experience is so traumatic, it’s generally not worth it. He screams. He bites, He scratches. He doesn’t want to go in the carrier, and once he does, he takes a giant “screw you” dump once I shut the door. 

 He doesn’t go outside, he doesn’t come in contact with other animals, he’s been generally healthy… So when the vet calls every year and says he’s due for his shots, I tell her, “Thanks but no thanks.”

Then he got a hematoma on his ear. It was a big, swollen spot that was clearly noticeable and (assumedly) painful. I knew I had to take him to the vet. I also knew this would not be an easy task. 

Remi with his perfectly normal ear

After a few failed attempts (and some light bleeding on my part), I finally got the cat in the carrier.  I deposited the angry, hissing pet at the vet and sat down in the waiting room.  A few minutes later, the vet asks me to step in to the exam room. 

Next to the article, the page also holds crystal structures
This entry pairs a crystal structure of Na3CeSc3Se8 with its theoretical powder diffraction line list. Radiation: Cu Kα. Structure: the GGA-PBE geometry in Alexandria.
Kinematic intensities with the Lorentz-polarization factor, no thermal factor.

Cell and atoms:
```
Na3CeSc3Se8
1.0
3.980 2.298 6.998
-3.980 2.298 6.998
0.000 -4.596 6.998
Na Ce Sc Se
3 1 3 8
direct
0.000 0.500 0.500
0.500 0.000 0.500
0.500 0.500 0.000
0.500 0.500 0.500
0.000 0.000 0.500
0.000 0.500 0.000
0.500 0.000 0.000
0.226 0.748 0.748
0.239 0.239 0.239
0.252 0.252 0.774
0.252 0.774 0.252
0.748 0.226 0.748
0.748 0.748 0.226
0.761 0.761 0.761
0.774 0.252 0.252
```

Top 10 peaks for 2θ from 5° to 70°, by intensity:
31.04°, rel. 100.0; 43.33°, rel. 34.5; 45.59°, rel. 34.2; 12.65°, rel. 32.1; 56.18°, rel. 18.0; 27.23°, rel. 11.9; 39.84°, rel. 11.6; 64.71°, rel. 9.8; 54.99°, rel. 7.3; 47.50°, rel. 6.3



This entry pairs a crystal structure of HgRh2Se3 with its theoretical powder diffraction line list. Radiation: Cu Kα. Structure: the GGA-PBE geometry in Alexandria.
Kinematic intensities with the Lorentz-polarization factor, no thermal factor.

Cell and atoms:
```
HgRh2Se3
1.0
6.505 -1.799 0.000
6.505 1.799 0.000
-5.817 0.000 10.619
Hg Rh Se
2 4 6
direct
0.081 0.081 0.206
0.919 0.919 0.794
0.240 0.240 0.628
0.257 0.257 0.136
0.743 0.743 0.864
0.760 0.760 0.372
0.119 0.119 0.730
0.366 0.366 0.522
0.369 0.369 0.019
0.631 0.631 0.981
0.634 0.634 0.478
0.881 0.881 0.270
```

Top 10 peaks for 2θ from 5° to 70°, by intensity:
33.07°, rel. 100.0; 33.27°, rel. 47.6; 42.95°, rel. 32.9; 51.96°, rel. 30.0; 50.76°, rel. 16.7; 43.99°, rel. 15.7; 62.06°, rel. 15.6; 15.53°, rel. 12.1; 13.64°, rel. 10.8; 45.57°, rel. 9.3

----------

[1]
The following is a computed powder diffraction line list of TbInO3. It was derived from a structure optimized by DFT (PBE), using a wavelength of 1.5418 Å.

Atomic structure:
Cell lengths 5.898, 8.205, 5.567 Å; angles 90.00, 90.00, 90.00 degrees
Atoms (fractional coordinates):
Tb  0.065  0.250  0.021
Tb  0.435  0.750  0.521
Tb  0.565  0.250  0.479
Tb  0.935  0.750  0.979
In  0.000  0.000  0.500
In  0.000  0.500  0.500
In  0.500  0.000  0.000
In  0.500  0.500  0.000
O  0.070  0.750  0.356
O  0.188  0.574  0.815
O  0.188  0.926  0.815
O  0.312  0.074  0.315
O  0.312  0.426  0.315
O  0.430  0.250  0.856
O  0.570  0.750  0.144
O  0.688  0.574  0.685
O  0.688  0.926  0.685
O  0.812  0.074  0.185
O  0.812  0.426  0.185
O  0.930  0.250  0.644

Principal peaks in the range 10 to 90 degrees two-theta, in order of rising 2θ:
2theta, d (Å), I_rel
24.5, 3.631, 11
30.3, 2.949, 19
31.0, 2.882, 100
32.2, 2.782, 28
44.2, 2.051, 12
44.8, 2.024, 16
50.5, 1.808, 11
54.3, 1.689, 10
54.5, 1.684, 9
55.7, 1.651, 11
56.6, 1.626, 24
64.7, 1.441, 9



[2]
The following is a computed powder diffraction line list of GdBi. It was derived from a structure optimized by DFT (PBE), using a wavelength of 1.5418 Å.

Atomic structure:
The crystal structures stop here

I fear the worst. Fatal ear cancer. Some kind of flesh eating disease. 

“I can’t actually treat him,” the vet said, handing me back my angry pet, still in his carrier.

“Why is that?” I asked. 

“Well, when we attempted to get him out of the carrier, he bit the vet tech. We can’t treat a pet that bites.”

“I get that. So what now?” I asked. 

“Well, he probably doesn’t need surgery, just medicine. I can give you the medicine and you can put it in his ear yourself.”

“O…K… I guess I can do that. I mean, if you can’t treat him.”

“I can’t. But I can give you some strong sedatives to give him prior to the next time you bring him in. Or to give him if you want to trim his toenails or give him a bath!” 

“Super. But I’ve gotten those before and the pills are useless because I’m absolutely not going to shove a pill down his angry mouth. Do you have it in liquid form?”

“Absolutely. I get it. Here’s the meds.”

I did my absolute best to put that freakin medicine in his ear. And I gave him the oral antibiotics.  He hated me for it so much. I thought that I got most of the medicine in his ear and in his angry mouth. I donned a pair of oven mitts, a sweatshirt and got my husband’s help. I tried.

But I am not a professional veterinarian. And I obviously didn’t do it well, because he still has a wonky ear.

Still cute tho.


The Time I Had Some Deep-Seated Prejudices I Was Forced to Challenge


The Time I (Regrettably) Joined the Junior League